_Brief_
Quote every line further below that contains the word "formation".

_File_
********
BeCo2Pt2 PBE optimized geometry; DFT formation energy = -38 meV per atom; space-group type = No. 127
1.0
-3.4645 -0.3291 4.7033
-3.6569 -3.4965 -2.9384
2.0400 -3.2078 1.2783
Be Co Pt
2 4 4
Cartesian
0.0000 0.0000 0.0000 Be
-3.5607 -1.9128 0.8825 Be
-1.8605 -3.9173 -0.5693 Co
-4.3407 -4.7970 1.1813 Co
-3.2209 -3.1161 3.6125 Co
-0.7407 -2.2364 1.8619 Co
-4.2769 -3.0635 -0.8624 Pt
-5.3230 -2.5720 2.0406 Pt
-2.8445 -0.7620 2.6273 Pt
-1.7984 -1.2535 -0.2757 Pt

---

BeCo2Pt PBE optimized geometry; DFT formation energy = 4 meV per atom; space-group type = No. 166
1.0
-3.8615 -0.4242 7.0976
-3.6109 -2.9748 6.6015
-1.6591 -1.6688 7.7415
Be Co Pt
1 2 1
Cartesian
-6.8487 -3.8008 16.0804 Be
-0.0814 -0.0452 0.1912 Co
-4.4844 -2.4887 10.5291 Co
-2.2829 -1.2669 5.3601 Pt

---

BeCo2Pt PBE optimized geometry; DFT formation energy = -169 meV per atom; space-group type = No. 139
1.0
-3.6069 -2.6964 -1.0041
0.0624 -2.0530 -4.1317
2.9301 0.4663 3.5336
Be Co Pt
1 2 1
Cartesian
-1.2246 -2.3024 -0.0192 Be
0.0000 0.0000 0.0000 Co
-1.7723 -2.3747 -2.5679 Co
0.6101 -1.9807 -1.5830 Pt

---

BeCo2Pt PBE optimized geometry; DFT formation energy = -178 meV per atom; space-group type = No. 38
1.0
3.6274 0.0000 0.0000
0.0000 2.6428 -0.0943
0.0000 1.4896 4.7756
Be Co Pt
1 2 1
Cartesian
1.8137 3.5928 3.4031 Be
0.0000 2.1503 0.0039 Co
1.8137 0.8594 0.9721 Co
0.0000 2.2388 2.5485 Pt

---

BeCoPt2 PBE optimized geometry; DFT formation energy = -303 meV per atom; space-group type = No. 47
1.0
2.7527 0.0000 0.0000
0.0000 3.3743 0.0000
0.0000 0.0000 5.5239
Be Co Pt
1 1 2
Cartesian
1.3764 1.6872 1.3810 Be
1.3764 1.6872 4.1429 Co
0.0000 0.0000 0.0466 Pt
0.0000 0.0000 2.7153 Pt

---

BeCoPt2 PBE optimized geometry; DFT formation energy = -21 meV per atom; space-group type = No. 216
1.0
4.2369 0.0000 0.0000
2.1184 3.6693 0.0000
2.1184 1.2231 3.4594
Be Co Pt
1 1 2
Cartesian
4.2369 2.4462 1.7297 Be
2.1184 1.2231 0.8649 Co
0.0000 0.0000 0.0000 Pt
6.3553 3.6693 2.5946 Pt

---

BeCo2Pt2 PBE optimized geometry; DFT formation energy = 44 meV per atom; space-group type = No. 127
1.0
-1.0179 -5.3644 -1.3587
1.4875 -1.5959 5.1865
-3.8118 0.4141 1.2206
Be Co Pt
2 4 4
Cartesian
0.0000 0.0000 0.0000 Be
0.2348 -3.4802 1.9139 Be
0.9130 -3.3072 3.9731 Co
0.0754 -5.6367 2.1476 Co
-0.4434 -3.6532 -0.1454 Co
0.3942 -1.3237 1.6802 Co
-1.0826 -1.7702 3.8521 Pt
-1.3518 -4.7096 4.0085 Pt
-2.2596 -4.7760 1.1963 Pt
-1.9904 -1.8367 1.0399 Pt

---

BeCoPt PBE optimized geometry; DFT formation energy = -186 meV per atom; space-group type = No. 62
1.0
3.8261 0.0000 0.0000
0.0000 5.3217 0.0000
0.0000 0.0000 7.3418
Pt Be Co
4 4 4
Cartesian
2.8696 5.2291 1.0701 Pt
0.9565 2.5683 2.6007 Pt
0.9565 0.0926 6.2716 Pt
2.8696 2.7534 4.7410 Pt
2.8696 3.7654 2.7235 Be
0.9565 1.1046 0.9474 Be
0.9565 1.5563 4.6183 Be
2.8696 4.2171 6.3943 Be
2.8696 2.5332 0.6531 Co
0.9565 5.1940 3.0178 Co
0.9565 2.7885 6.6887 Co
2.8696 0.1277 4.3240 Co

---

BeCo2Pt2 PBE optimized geometry; DFT formation energy = 65 meV per atom; space-group type = No. 139
1.0
-5.3400 4.8511 1.0115
-3.8243 5.3881 -3.0684
3.1186 -6.5773 0.2929
Be Co Pt
1 2 2
Cartesian
0.0000 0.0000 0.0000 Be
-2.6439 1.9652 -1.9020 Co
-3.4018 1.6967 0.1380 Co
-5.4580 6.0982 -1.2250 Pt
-3.7063 4.1410 -0.8318 Pt

---

BeCoPt2 PBE optimized geometry; DFT formation energy = -319 meV per atom; space-group type = No. 99
1.0
-0.7923 2.6364 0.1764
-1.0527 -0.1461 -2.5456
-5.7869 -1.9065 2.5025
Be Co Pt
1 1 2
Cartesian
-2.9449 -0.9702 1.2735 Be
-5.0520 -0.1153 0.6012 Co
-5.6356 -1.8566 2.4371 Pt
-2.6797 0.6662 -0.4247 Pt

---

BeCoPt2 PBE optimized geometry; DFT formation energy = 151 meV per atom; space-group type = No. 122
1.0
-2.2698 -2.9847 -0.5482
-0.2140 -0.5255 3.7468
-7.7215 3.1151 1.9123
Be Co Pt
2 2 4
Cartesian
-1.2419 -1.7551 1.5993 Be
-4.5887 0.4173 3.6292 Be
0.0000 0.0000 0.0000 Co
-5.6166 -0.8123 1.4817 Co
-3.3597 -1.1313 0.6077 Pt
-2.3638 0.0562 2.7474 Pt
-6.7240 1.0163 2.6601 Pt
-7.9629 -0.7313 4.2066 Pt

---
********

_Done_
BeCo2Pt2 PBE optimized geometry; DFT formation energy = -38 meV per atom; space-group type = No. 127
BeCo2Pt PBE optimized geometry; DFT formation energy = 4 meV per atom; space-group type = No. 166
BeCo2Pt PBE optimized geometry; DFT formation energy = -169 meV per atom; space-group type = No. 139
BeCo2Pt PBE optimized geometry; DFT formation energy = -178 meV per atom; space-group type = No. 38
BeCoPt2 PBE optimized geometry; DFT formation energy = -303 meV per atom; space-group type = No. 47
BeCoPt2 PBE optimized geometry; DFT formation energy = -21 meV per atom; space-group type = No. 216
BeCo2Pt2 PBE optimized geometry; DFT formation energy = 44 meV per atom; space-group type = No. 127
BeCoPt PBE optimized geometry; DFT formation energy = -186 meV per atom; space-group type = No. 62
BeCo2Pt2 PBE optimized geometry; DFT formation energy = 65 meV per atom; space-group type = No. 139
BeCoPt2 PBE optimized geometry; DFT formation energy = -319 meV per atom; space-group type = No. 99
BeCoPt2 PBE optimized geometry; DFT formation energy = 151 meV per atom; space-group type = No. 122